Assignment
Type out every line underneath that contains the word "DFT".
Entries
/*
# 1
Molecular formula: C34H63B2NO36P5Zr
Method: DFT, wB97M-V/def2-TZVPD

## Properties
Energy above the lowest of the compared OMol25 structures with the same formula, charge and spin = 0.0 kJ/mol
Charge = -1
HOMO = -2.93 eV

```
142
Properties=species:S:1:pos:R:3:lowdin_charge:R:1
Zr 1.24 1.05 0.12 1.848
O 0.28 2.88 8.80 0.160
C -0.02 2.94 7.64 -0.399
O 0.81 2.87 6.61 0.243
B 0.08 3.20 5.38 -0.858
O -1.32 3.48 5.82 0.188
C -1.43 3.23 7.12 -0.400
O -2.41 3.37 7.78 0.154
O 0.09 2.16 4.33 0.241
C 0.59 2.62 3.22 -0.321
O 0.70 1.98 2.21 -0.002
C 0.97 4.13 3.44 -0.360
O 0.69 4.36 4.70 0.246
O 1.47 4.85 2.63 0.161
O -0.06 -7.67 -0.65 0.162
C -0.47 -6.57 -0.89 -0.385
O 0.25 -5.48 -1.11 0.205
B -0.66 -4.40 -1.55 -0.874
O -2.04 -4.92 -1.32 0.201
C -1.96 -6.22 -1.04 -0.402
O -2.87 -6.97 -0.85 0.153
O -0.58 -3.12 -0.82 0.213
C -0.45 -2.12 -1.66 -0.376
O -0.37 -0.97 -1.32 0.090
C -0.25 -2.70 -3.08 -0.376
O -0.41 -4.01 -2.96 0.226
O 0.06 -2.11 -4.08 0.146
P 4.05 1.64 0.63 0.085
O 2.87 0.94 1.41 -0.476
O 5.30 0.79 0.30 -0.409
O 4.93 2.83 1.09 -0.432
O 3.00 1.84 -0.54 -0.518
C 1.21 5.89 -0.32 -0.024
C 0.98 4.46 -0.26 -0.154
N 0.81 3.35 -0.08 0.139
H 1.74 6.12 0.60 0.087
H 0.33 6.52 -0.45 0.089
H 1.90 6.15 -1.13 0.086
C -3.13 4.31 2.93 -0.038
C -2.43 3.69 1.74 -0.222
O -2.71 2.27 1.86 -0.163
P -2.43 1.35 0.61 0.448
O -1.02 1.25 0.22 -0.297
O -3.14 -0.01 1.05 -0.168
C -3.36 -1.02 0.06 -0.233
C -4.43 -1.91 0.68 -0.044
O -3.39 1.85 -0.54 -0.183
C -4.83 1.93 -0.39 -0.221
C -5.57 1.53 -1.65 -0.066
H -3.21 5.40 2.86 0.085
H -4.15 3.92 2.91 0.083
H -2.72 4.01 3.89 0.070
H -2.88 4.02 0.79 0.113
H -1.36 3.89 1.69 0.101
H -3.59 -0.67 -0.95 0.111
H -2.46 -1.61 -0.12 0.091
H -4.52 -2.85 0.15 0.087
H -4.35 -2.06 1.75 0.066
H -5.36 -1.34 0.55 0.073
H -5.14 1.34 0.47 0.119
H -4.95 3.00 -0.20 0.120
H -5.53 2.30 -2.43 0.075
H -5.12 0.62 -2.06 0.056
H -6.63 1.35 -1.49 0.084
C 2.67 -2.11 4.85 -0.065
C 1.75 -1.15 4.12 -0.228
O 0.74 -2.02 3.56 -0.171
P -0.23 -1.38 2.47 0.455
O 0.51 -0.62 1.46 -0.290
O -1.21 -0.45 3.28 -0.157
C -2.14 -0.95 4.22 -0.255
C -2.73 0.19 4.99 -0.040
O -1.20 -2.49 1.91 -0.145
C -1.17 -3.83 2.45 -0.237
C -2.46 -4.58 2.24 -0.042
H 3.53 -1.63 5.32 0.090
H 2.11 -2.77 5.52 0.081
H 3.22 -2.73 4.14 0.056
H 1.47 -0.42 4.89 0.127
H 2.35 -0.66 3.35 0.101
H -2.92 -1.49 3.66 0.107
H -1.73 -1.67 4.94 0.126
H -2.02 0.74 5.60 0.075
H -3.18 0.92 4.31 0.079
H -3.61 -0.16 5.55 0.087
H -0.31 -4.37 2.03 0.110
H -0.93 -3.81 3.51 0.113
H -3.28 -4.07 2.75 0.071
H -2.75 -4.39 1.20 0.066
H -2.54 -5.66 2.39 0.091
C 2.49 0.97 -6.48 -0.053
C 1.11 0.77 -5.84 -0.234
O 1.29 0.63 -4.43 -0.162
P 0.43 1.42 -3.38 0.438
O 0.93 1.35 -2.01 -0.318
O 0.38 2.94 -3.86 -0.160
C 1.62 3.64 -3.95 -0.253
C 1.33 5.12 -4.19 -0.058
O -1.04 0.86 -3.44 -0.145
C -1.89 1.03 -4.59 -0.249
C -3.30 1.08 -4.07 -0.065
H 2.33 1.32 -7.51 0.079
H 3.06 1.76 -6.00 0.059
H 3.00 0.02 -6.53 0.083
H 0.48 1.63 -6.06 0.106
H 0.64 -0.14 -6.22 0.124
H 2.29 3.46 -3.10 0.122
H 2.19 3.33 -4.83 0.102
H 0.82 5.21 -5.15 0.077
H 0.70 5.49 -3.39 0.067
H 2.27 5.66 -4.30 0.086
H -1.61 1.92 -5.17 0.112
H -1.82 0.16 -5.26 0.122
H -3.39 2.02 -3.52 0.077
H -4.00 1.06 -4.91 0.088
H -3.48 0.21 -3.44 0.074
C 2.98 -5.29 -2.65 -0.052
C 3.47 -3.86 -2.54 -0.227
O 2.57 -3.02 -1.77 -0.156
P 3.21 -1.75 -1.07 0.461
O 2.23 -0.69 -0.73 -0.304
O 4.00 -2.32 0.15 -0.124
C 3.41 -2.74 1.38 -0.229
C 2.41 -3.86 1.21 -0.055
O 4.38 -1.30 -2.01 -0.140
C 4.12 -0.63 -3.26 -0.239
C 4.34 0.86 -3.09 -0.068
H 3.74 -5.97 -3.02 0.082
H 2.72 -5.62 -1.64 0.066
H 2.03 -5.38 -3.17 0.076
H 4.43 -3.91 -2.02 0.121
H 3.60 -3.42 -3.53 0.116
H 4.19 -3.08 2.06 0.124
H 2.92 -1.85 1.78 0.089
H 2.23 -4.27 2.20 0.082
H 1.46 -3.59 0.76 0.059
H 2.87 -4.62 0.56 0.083
H 4.83 -0.99 -4.00 0.118
H 3.12 -0.81 -3.67 0.101
H 3.52 1.45 -2.69 0.034
H 5.18 1.02 -2.41 0.090
H 4.61 1.31 -4.06 0.068
```

# 2
Molecular formula: C34H63N9O10S
Method: DFT, wB97M-V/def2-TZVPD

## Properties
*/
Done
Method: DFT, wB97M-V/def2-TZVPD
Method: DFT, wB97M-V/def2-TZVPD